Biden White House Plans 'Vaccine Passports'

And you are free to stop moving the goalposts.

# Attached: crystal structures
{"formula": "Ac2BMoO6", "functional": "GGA+U", "state": "optimized geometry", "crystal_system": "triclinic", "energy_ev_per_atom": -7.649, "magmom_total_mub_per_fu": 3.0, "lattice_angstrom": [[-4.432, -1.134, -3.884], [-0.403, -5.966, -0.387], [-4.962, -4.204, 1.433]], "species": ["Ac", "Ac", "B", "Mo", "O", "O", "O", "O", "O", "O"], "frac_coords": [[0.737, 0.250, 0.463], [0.263, 0.750, 0.537], [0.500, 0.500, 0.000], [0.000, 0.000, 0.000], [0.283, 0.339, 0.542], [0.864, 0.829, 0.878], [0.357, 0.719, 0.929], [0.643, 0.281, 0.071], [0.136, 0.171, 0.122], [0.717, 0.661, 0.458]]}

----------

First-principles (PBE with a Hubbard U) data for crystalline CsRb2Mo3F12 at its relaxed geometry, as listed in the Alexandria database.

The electronic total energy is -284.59 eV/cell.

The space group is R-3m (No. 166, hexagonal axes) and the conventional cell measures 8.0092, 8.0092 and 19.8156 Å, with angles of 90.00, 90.00 and 120.00 degrees. Symmetry generates all atoms from Cs at (0.0000, 0.0000, 0.0000), Rb at (0.0000, 0.0000, 0.3665), Mo at (0.0000, 0.5000, 0.5000), F at (0.0556, 0.5278, 0.3977) and F at (0.0768, 0.5384, 0.8144).
# Back to the page

Life is not a game, goal posts move. 100 years ago, many people were happy just owning a bicycle, but now they want cars. 200 years ago, people were happy if only half their children died, but now they demand all their children live. My first computer had 48k, now I own a computer with 64gb, which is more than a million times more... And sometimes is not enough.

You do not want to keep up with the rest of us, that is fine. I will even try to be charitable with you. But demanding we all hold back so you are not left behind is not the solution.
Life is not a game, goal posts move. 100 years ago, many people were happy just owning a bicycle, but now they want cars. 200 years ago, people were happy if only half their children died, but now they demand all their children live. My first computer had 48k, now I own a computer with 64gb, which is more than a million times more... And sometimes is not enough.

You do not want to keep up with the rest of us, that is fine. I will even try to be charitable with you. But demanding we all hold back so you are not left behind is not the solution.

You're an asshat. Your "flight to France" would have required a passport before COVID hit and you are for whatever reason ignoring the argument being made...against internal passports in America. You're dishonest or stupid...maybe both.
No one is arguing your right to refuse the vaccine. So that law is irrelevant, not my comment. This is not a discussion about state universities. It's a discussion about whether a private business has the right to refuse you service. Short discussion. They do. Period. Arguing that they are infringing on your religious liberties is horseshit.

And they will put themselves out of business.
That doesn't deserve much of a response, but for the record:

1.) I don't actually want anyone to die or be encamped. No one who isn't a psychopath does. I don't hate anyone, certainly no one I don't even know, but I come as close to it as possible for Trump, you, and people like the two of you. So I use hyperbole not for you but for other observers to always remember what you people have done and continue to try to do.

2.) Although you proved yourself capable of writing a reasonable post, to my literal shock, you're still full of dull horse shit. You shamelessly and repeatedly lie about words that are published for everyone to see. You are the epitome of a Trumpist and therefore, I have no respect for you.

Hate speech. Bulverism fallacy. TDS.
Life is not a game, goal posts move. 100 years ago, many people were happy just owning a bicycle, but now they want cars. 200 years ago, people were happy if only half their children died, but now they demand all their children live. My first computer had 48k, now I own a computer with 64gb, which is more than a million times more... And sometimes is not enough.

You do not want to keep up with the rest of us, that is fine. I will even try to be charitable with you. But demanding we all hold back so you are not left behind is not the solution.

Random wanderings. Non-sequitur fallacy. A vaccine is not a measure of 'keeping up'.
Your "flight to France" would have required a passport before COVID hit and you are for whatever reason ignoring the argument being made

I do more work with the Germans, and Central Europeans, but that really is not the point. Before Covid-19, it required a passport, but now it would require a vaccination passport. I have not moved the goalposts, but the goalposts have been moved.

As for an "internal passport", you are free to travel interstate without a vaccine passport, so it is not an internal passport. It is proof of vaccination so that I can know that you are safe. If you do not want to prove to me that you are safe, that is fine, but I will probably not deal with you.
When it started a few days ago, wasn't this thread about a sort of government vaccine passport? Are you suggesting that businesses would either opt in or implement their own "passports"?

I believe the purpose of a 'passport' would be to prove immunization. That's certainly my angle on this. I suspect it will be required by many private businesses, airlines, sporting events, concerts, movie theaters, etc. At some point, one of the tards claimed that would be unconstitutional because it would restrict interstate travel. Typical idiotic take. It appears there was also an attempt to turn it into some kind of mandatory vaccination effort, which it is not.
Cuntcart, like all his Jim Crow DemoKKKrat ilk, is a bigot.

Cuntcart is making the argument that equal protection isn't a thing.

Cuntcart is possibly the most moronic of all DemoKKKrats here.

Wow, aren't you clever with the nicknames. Did you come up with that all by yourself, or did you have help.


Still waiting for you top point me to that clause in the Constitution that guarantees your right to fly. Guess you haven't found it yet have you? Fucking moron.
Wow, aren't you clever with the nicknames. Did you come up with that all by yourself, or did you have help.


Still waiting for you top point me to that clause in the Constitution that guarantees your right to fly. Guess you haven't found it yet have you? Fucking moron.

Great isn't it? I had help/stole it, Cuntcart.

:good4u: :good4u:

You are truly and astonishingly stupid/incompetent, even for a Jim Crow DemoKKKrat, Cuntcart.

You ACTUALLY wrote this earlier (Post #204) in the thread:

It's a discussion about whether a private business has the right to refuse you service. Short discussion. They do. Period.

You are ACTUALLY this stupid/incompetent (and bigoted), and so stupid/incompetent that you can't understand how stupid/incompetent you are, and instead project your stupidity/incompetence on others.

Even for a Jim Crow DemoKKKrat, you're an exceptional knuckle dragger, so congrats.
I believe the purpose of a 'passport' would be to prove immunization. That's certainly my angle on this. I suspect it will be required by many private businesses, airlines, sporting events, concerts, movie theaters, etc. At some point, one of the tards claimed that would be unconstitutional because it would restrict interstate travel. Typical idiotic take. It appears there was also an attempt to turn it into some kind of mandatory vaccination effort, which it is not.

Great time to be a lawyer when the suits start pouring in, and an exciting moment when SCOTUS squashes it as blatantly unconstitutional.